Assignment:
Please find the line further down that holds "(Å): 12.9552", then reproduce that line and all lines after it there.
Source:
1.
Sm3Tl2Cd3: relaxed, GGA-PBE.

Summary:
Energy   -0.2187 Ry/atom
Offset from the most stable computed form   0.0 meV/atom
Energy of formation from the pure elements   -0.27 eV/atom
Crystal system   hexagonal

a b c (Å): 7.6406 7.6406 4.4301
angles (deg): 90.00 90.00 120.00
Space group P-62m (No. 189)
One atom of each set of equivalent atoms:
Sm 0.0000 0.3951 0.0000 (multiplicity 3)
Tl 0.3333 0.6667 0.5000 (multiplicity 2)
Cd 0.0000 0.7735 0.5000 (multiplicity 3)

---

2.
SmTl2Cd: relaxed, GGA-PBE.

Summary:
Energy   -0.2115 Ry/atom
Offset from the most stable computed form   0.0 meV/atom
Energy of formation from the pure elements   -0.29 eV/atom
Crystal system   tetragonal

a b c (Å): 4.7825 4.7825 4.6361
angles (deg): 90.00 90.00 90.00
Space group P4/mmm (No. 123)
One atom of each set of equivalent atoms:
Sm 0.0000 0.0000 0.0000 (multiplicity 1)
Tl 0.0000 0.5000 0.5000 (multiplicity 2)
Cd 0.5000 0.5000 0.0000 (multiplicity 1)

---

3.
Sm12Tl2Cd5: relaxed, GGA-PBE.

Summary:
Energy   -0.2661 Ry/atom
Energy of formation from the pure elements   -0.15 eV/atom
Crystal system   monoclinic

a b c (Å): 12.9552 10.6542 8.4396
angles (deg): 90.00 103.69 90.00
Space group C2/m (No. 12)
One atom of each set of equivalent atoms:
Sm 0.0875 0.0000 0.2146 (multiplicity 4)
Sm 0.1061 0.2336 0.8942 (multiplicity 8)
Sm 0.1343 0.5000 0.6425 (multiplicity 4)
Sm 0.1761 0.3080 0.3096 (multiplicity 8)
Tl 0.0000 0.2331 0.5000 (multiplicity 4)
Cd 0.0000 0.5000 0.0000 (multiplicity 2)
Cd 0.1324 0.0000 0.6121 (multiplicity 4)
Cd 0.2360 0.5000 0.0257 (multiplicity 4)

---

4.
SmTlCd2: relaxed, GGA-PBE.

Summary:
Energy   -0.1323 Ry/atom
Offset from the most stable computed form   711.7 meV/atom
Energy of formation from the pure elements   0.43 eV/atom
Crystal system   hexagonal

a b c (Å): 5.1713 5.1713 5.9354
angles (deg): 90.00 90.00 120.00
Space group P-6m2 (No. 187)
One atom of each set of equivalent atoms:
Sm 0.0000 0.0000 0.0000 (multiplicity 1)
Tl 0.6667 0.3333 0.5000 (multiplicity 1)
Cd 0.0000 0.0000 0.5000 (multiplicity 1)
Cd 0.3333 0.6667 0.5000 (multiplicity 1)
Here it is:
a b c (Å): 12.9552 10.6542 8.4396
angles (deg): 90.00 103.69 90.00
Space group C2/m (No. 12)
One atom of each set of equivalent atoms:
Sm 0.0875 0.0000 0.2146 (multiplicity 4)
Sm 0.1061 0.2336 0.8942 (multiplicity 8)
Sm 0.1343 0.5000 0.6425 (multiplicity 4)
Sm 0.1761 0.3080 0.3096 (multiplicity 8)
Tl 0.0000 0.2331 0.5000 (multiplicity 4)
Cd 0.0000 0.5000 0.0000 (multiplicity 2)
Cd 0.1324 0.0000 0.6121 (multiplicity 4)
Cd 0.2360 0.5000 0.0257 (multiplicity 4)

---

4.
SmTlCd2: relaxed, GGA-PBE.

Summary:
Energy   -0.1323 Ry/atom
Offset from the most stable computed form   711.7 meV/atom
Energy of formation from the pure elements   0.43 eV/atom
Crystal system   hexagonal

a b c (Å): 5.1713 5.1713 5.9354
angles (deg): 90.00 90.00 120.00
Space group P-6m2 (No. 187)
One atom of each set of equivalent atoms:
Sm 0.0000 0.0000 0.0000 (multiplicity 1)
Tl 0.6667 0.3333 0.5000 (multiplicity 1)
Cd 0.0000 0.0000 0.5000 (multiplicity 1)
Cd 0.3333 0.6667 0.5000 (multiplicity 1)